**Exercise:**
Filter the material underneath: keep the lines with the word "Here".
**Data:**
┌──
PmDy12Ho7: relaxed, PBE-GGA.

Cell: 8.664 8.664 8.664 Å, 95.10 95.10 95.10°
Fractional positions:
Dy  0.146  0.413  0.476
Dy  0.318  0.189  0.750
Dy  0.189  0.750  0.318
Dy  0.476  0.146  0.413
Dy  0.811  0.250  0.682
Dy  0.750  0.318  0.189
Dy  0.854  0.587  0.524
Dy  0.250  0.682  0.811
Dy  0.682  0.811  0.250
Dy  0.413  0.476  0.146
Dy  0.524  0.854  0.587
Dy  0.587  0.524  0.854
Ho  0.017  0.081  0.351
Ho  0.649  0.983  0.919
Ho  0.351  0.017  0.081
Ho  0.983  0.919  0.649
Ho  0.500  0.500  0.500
Ho  0.919  0.649  0.983
Ho  0.081  0.351  0.017
Pm  0.000  0.000  0.000

Output
Size of the total moment, μB/cell: 0.000
Density of states at the Fermi level, states/eV/cell: 17.79
Density, g/cm3: 8.4
DFT total energy, eV/f.u.: -86.0
SG: No. 148
Formation energy from the elements, meV/atom: 301.2
Energy above the most stable polymorph in this dataset, meV/atom: 0


(1)
Here is a relaxed structure of K2BeSe2 from the Alexandria database. Energies are from PBE.

Calculated values
Its space-group type is P4/mbm. The density of states at the Fermi level comes out at 0.000 states/eV per atom. Its formation energy (no corrections) is -0.4418 eV per atom.

Unit cell a=7.148 b=7.148 c=5.079 alpha=90.00 beta=90.00 gamma=90.00
Fractional coordinates of all 10 atoms:
Be 0.500 0.500 0.000
Be 0.000 0.000 0.000
Se 0.684 0.184 0.000
Se 0.316 0.816 0.000
Se 0.184 0.316 0.000
Se 0.816 0.684 0.000
K 0.644 0.856 0.500
K 0.856 0.356 0.500
K 0.356 0.144 0.500
K 0.144 0.644 0.500

***

(2)
Here is a relaxed structure of TlTc2As from the Alexandria database. Energies are from PBE.

Calculated values
Its space-group type is P4/mmm. The density of states at the Fermi level comes out at 1.363 states/eV per atom. For the formation energy from the elements, the calculation gives 0.5674 eV/atom.

Unit cell a=3.229 b=4.531 c=4.531 alpha=90.00 beta=90.00 gamma=90.00
Site moments in Bohr magnetons follow the coordinates.
Fractional coordinates of all 4 atoms:
Tc 0.000 0.000 0.000  0.22
Tc 0.000 0.500 0.500  0.22
Tl 0.500 0.500 0.000  0.01
As 0.500 0.000 0.500  -0.01

***

(3)
Here is a relaxed structure of Zr2HSe from the Alexandria database. Energies are from PBE.

Calculated values
Its space-group type is R-3m. The calculation puts the total energy at -26.74 eV per formula unit. The density of states at the Fermi level comes out at 0.558 states/eV per atom.

Unit cell a=3.434 b=3.434 c=6.698 alpha=75.15 beta=75.15 gamma=60.00
Fractional coordinates of all 4 atoms:
Zr 0.266 0.266 0.201
Zr 0.734 0.734 0.799
Se 0.500 0.500 0.500
H 0.000 0.000 0.000

***

(4)
Here is a relaxed structure of NbCu2SiH from the Alexandria database. Energies are from PBE.

Calculated values
Its space-group type is P4/mmm. The calculation puts the total energy at -27.68 eV per formula unit. The density of states at the Fermi level comes out at 0.164 states/eV per atom.

Unit cell a=3.766 b=3.766 c=4.071 alpha=90.00 beta=90.00 gamma=90.00
Fractional coordinates of all 5 atoms:
Cu 0.000 0.500 0.000
Cu 0.500 0.000 0.000
Si 0.500 0.500 0.500
Nb 0.000 0.000 0.500
H 0.000 0.000 0.000

***

(5)
Here is a relaxed structure of OsI from the Alexandria database. Energies are from PBE.

Calculated values
Its space-group type is Pm-3n. The density of states at the Fermi level comes out at 1.238 states/eV per atom. Its formation energy (no corrections) is 1.8149 eV per atom.

Unit cell a=7.295 b=7.295 c=7.295 alpha=90.00 beta=90.00 gamma=90.00
Fractional coordinates of all 12 atoms:
Os 0.000 0.500 0.250
Os 0.250 0.000 0.500
Os 0.000 0.500 0.750
Os 0.500 0.750 0.000
Os 0.750 0.000 0.500
Os 0.500 0.250 0.000
I 0.000 0.250 0.500
I 0.250 0.500 0.000
I 0.500 0.000 0.250
I 0.000 0.750 0.500
I 0.750 0.500 0.000
I 0.500 0.000 0.750

***

(6)
Here is a relaxed structure of Sr12Ir3N5 from the Alexandria database. Energies are from PBE.

Calculated values
└──
**Outcome:**
Here is a relaxed structure of K2BeSe2 from the Alexandria database. Energies are from PBE.
Here is a relaxed structure of TlTc2As from the Alexandria database. Energies are from PBE.
Here is a relaxed structure of Zr2HSe from the Alexandria database. Energies are from PBE.
Here is a relaxed structure of NbCu2SiH from the Alexandria database. Energies are from PBE.
Here is a relaxed structure of OsI from the Alexandria database. Energies are from PBE.
Here is a relaxed structure of Sr12Ir3N5 from the Alexandria database. Energies are from PBE.